Imagine that you’re sitting around a campfire in the Far Eastern taiga in the dark predawn hour, when a spine-chilling cry suddenly echoes through the awakening forest. It is the mournful-sounding call of a Siberian tiger: a deep-throated, mesmerizing ahh-rooom. Known as the long-distance advertisement call, its purpose is to draw attention to the animal’s location, size, and fitness. The call is intense, and it delivers a clear message to prospective mates and adversaries alike: I am here, and this is my dominion.
Only four of the five big cats belonging to the genus Panthera can roar: tigers, lions, leopards, and jaguars. The differences between roaring and nonroaring cats can be appreciated by comparing the vocal hardware of the nonroaring fifth cat in Panthera, the snow leopard, with the considerably larger hardware of the jaguar. The size difference between their voice boxes, shown in figure 1, is unmistakable. But an examination of the biophysics of big-cat vocalization reveals that the voice-box size only partially explains why the four cats can produce their intense long-distance roars.
The voice box
The functional center of mammalian vocalization lies in the larynx, a cartilaginous structure that is connected to the trachea (or windpipe) below, and to the pharynx (or throat) above. The pharynx expands into the nasal and oral cavities and, in some species, also into a collection of other mucosal membrane–lined air chambers. Those interconnected spaces function in the same way the bell of a trumpet helps radiate sound: They collectively shape the output of the cat’s vocal system.
The fundamental structural element of voicing is a bilateral pair of laryngeal protrusions known as vocal folds, commonly referred to as vocal cords. Together they create an opening in the middle of the airway known as the glottis. The epiglottis, shown in figure 1, sits atop the airway, where it acts like a lid that protects the respiratory system from ingested material. It has also slowly evolved into a resonator.
Like all voiced sounds, long-distance roaring is produced during exhalation as warm, moist air flows through the glottal aperture. The air flow sets the vocal folds into vibration at their resonant frequency. Glottal pulses formed by the vibrations are transferred to the oral cavity and associated nasal cavities, where the emergent voice is shaped.
Aerodynamic efficiency
As seen in figure 1, the jaguar’s vocal folds are larger and longer than the snow leopard’s. Indeed, vocal-fold length scales with body mass. Longer and more massive vocal folds produce lower fundamental frequencies, much like how longer strings on a musical instrument produce lower notes.
# These records of crystals were left in the text by mistake
- - -
Record 1
Below is a geometry-optimized Si2NiSb4 structure, with properties calculated at the GGA-PBE level.

a b c (Å): 5.1462 5.1462 12.9769
angles (deg): 90.00 90.00 90.00
Atoms (fractional coordinates):
Si (0.0000, 0.0000, 0.0958)
Si (0.0000, 0.0000, 0.9042)
Si (0.5000, 0.5000, 0.4042)
Si (0.5000, 0.5000, 0.5958)
Ni (0.0000, 0.0000, 0.5000)
Ni (0.5000, 0.5000, 0.0000)
Sb (0.0000, 0.0000, 0.2973)
Sb (0.0000, 0.0000, 0.7027)
Sb (0.0000, 0.5000, 0.0000)
Sb (0.0000, 0.5000, 0.5000)
Sb (0.5000, 0.0000, 0.0000)
Sb (0.5000, 0.0000, 0.5000)
Sb (0.5000, 0.5000, 0.2027)
Sb (0.5000, 0.5000, 0.7973)

formation energy from raw total energies: 0.439 eV/atom
uncorrected energy: -60.08 eV/cell
SG: I4/mmm
mass density: 5.82 g/cm3

=====

Record 2
Below is a geometry-optimized SiNiSbTe2 structure, with properties calculated at the GGA-PBE level.

a b c (Å): 5.1929 5.1929 4.7432
angles (deg): 90.00 90.00 90.00
Atoms (fractional coordinates):
Si (0.0000, 0.0000, 0.0000)
Ni (0.5000, 0.5000, 0.5000)
Sb (0.5000, 0.5000, 0.0000)
Te (0.0000, 0.5000, 0.5000)
Te (0.5000, 0.0000, 0.5000)

formation energy from raw total energies: 0.550 eV/atom
uncorrected energy: -18.86 eV/cell
SG: P4/mmm
mass density: 6.02 g/cm3
distance to the lowest polymorph of the same formula: 0.00 kcal/mol of atoms

=====

no.,D(E_F) (states/eV per atom)
1,0.561
2,0.739


Entry 1:
The following is a PBE-GGA calculation of an optimized crystal structure of SmHoEr, from OQMD via LeMat-Bulk.

extended XYZ file:
```
3
Lattice="0.000 3.825 3.825 3.825 0.000 3.825 3.825 3.825 0.000" Properties=species:S:1:pos:R:3 pbc="T T T"
Ho 1.913 1.913 1.913
Er 0.000 0.000 0.000
Sm 5.738 5.738 5.738
```

Results
- energy above the lowest structure with this stoichiometry (eV/f.u.) = 0.000
- ΔE_f (meV per atom) = 715



Entry 2:
The following is a PBE-GGA calculation of an optimized crystal structure of Tl2NiSn, from OQMD via LeMat-Bulk.

extended XYZ file:
```
4
Lattice="2.563 1.479 4.185 -2.563 1.479 4.185 0.000 -2.959 4.185" Properties=species:S:1:pos:R:3 pbc="T T T"
Tl 0.000 0.000 9.415
Ni 0.000 0.000 6.277
Sn 0.000 0.000 3.138
Tl 0.000 0.000 0.000
```

Results
- uncorrected energy (eV per atom) = -3.20


No. 1
VASP calculation (PBE) on a geometry-optimized Li2TbTl2 structure.

Unit cell a=5.2382 b=5.2382 c=5.2311 alpha=70.59 beta=70.59 gamma=57.51
Fractional positions:
Tl: 0.7558 0.2558 0.3088
Li: 0.1126 0.6126 0.2641
Tl: 0.2442 0.7442 0.6912
Tb: 0.5000 0.0000 0.0000
Li: 0.8874 0.3874 0.7359

Results
Total DFT energy (no corrections) = -2.852 eV/atom
Calculated formation energy = -0.214 eV per atom
Calculated volume = 112.0 Å³/cell
E above lowest polymorph = 7 meV per atom



No. 2
VASP calculation (PBE) on a geometry-optimized LiTb2Tl2 structure.

Unit cell a=6.3227 b=6.6315 c=7.9361 alpha=114.70 beta=113.48 gamma=90.00
Fractional positions:
Li: 0.2500 0.5000 0.0000
Tb: 0.8487 0.6402 0.6975
Tb: 0.6513 0.9427 0.3025
Li: 0.7500 0.5000 0.0000
Tb: 0.3487 0.0573 0.6975
Tl: 0.3908 0.6276 0.7815
- - -
Two spectrograms displaying tiger advertisement calls are seen in figure 2. They capture the changes in a call’s frequency over time. The amplitudes of component frequencies are shown colorimetrically: White and yellow represent elements with higher sound pressure levels, and red and purple represent lower levels. Perhaps the most evident feature of the call is that expression frequencies are harmonically related—that is, the call is periodic in nature. The harmonic structure is complemented by aperiodic components that make the call spectrally noisy, as seen in the bottom spectrogram in figure 2. The aperiodic component of the call reflects contributions produced by nonlinear intra- and supralaryngeal interactions among various resonating structures scattered throughout the vocal tract and oral cavity. The nonlinear features of a call convey essential information related to the vocalizing animal’s sex, fitness, and identity.
But the size of big-cat vocal hardware is not the only reason why the cats can produce the long-distance roar. Adaptations in the shape of their vocal apparatus are another crucial factor. Roaring-cat vocal folds are square or rectangular in shape. Those of other mammals, including nonroaring cats, are typically triangular. Rectangular-shaped vocal folds, with their thick and compact medial surfaces abutting one another, are more aerodynamically efficient than triangular ones, and that higher efficiency manifests in the form of a wide range of output levels. At the low end of the range, rectangular-shaped folds support the production of remarkably low phonation thresholds. In other words, a relatively small amount of lung pressure can vibrate the vocal folds and produce low-level sounds. At the high end, powerful contractions of thoracic muscles and the diaphragm help produce intense big-cat roars.
Roaring-cat vocal folds are also resilient to the powerful forces produced by intense vocalizations. That is due in part to a unique anatomical feature: fat deposits deep in the body of the vocal folds that not only influence their shape but also function as a cushion to absorb deformations associated with the extreme vibrations that occur during roaring. In addition, the vocal folds’ epithelium intertwines with the underlying connective tissue to produce a large surface area that strengthens the vocal-fold tissue when it undergoes extreme mechanical stress. As a result, roaring-cat vocal folds possess a remarkable capacity to withstand powerful shearing and stretching forces that would injure those of species with less robust vocal hardware.
Our understanding of the physics of roar production is derived in large part from tissue engineering and biomechanics investigations. But roaring also illustrates how slow-moving evolutionary pressures have caused subtle but essential changes in a small cluster of tissues lining a modest stretch of the larynx that enables production of the long-distance roar.
Additional resources
-- Attached: materials data --
'''
# Ac5BiAu2

An optimized crystal structure of Ac5BiAu2 (PBE-GGA, Alexandria).

POSCAR file:
```
Ac5BiAu2
1.0
8.054 0.000 -3.802
-1.795 7.852 -3.802
-0.408 -0.512 9.567
Ac Bi Au
10 2 4
Cartesian
2.568 5.178 2.244
4.506 7.608 -4.083
0.000 0.000 0.000
3.130 3.926 -3.802
1.346 -0.269 6.046
5.025 1.252 3.409
-1.111 3.657 4.882
0.826 6.088 -1.445
6.963 3.683 -2.918
3.283 2.162 -0.281
4.490 5.633 -0.919
1.361 1.707 2.883
0.493 2.818 -1.901
4.910 1.108 -2.974
1.349 6.743 -4.630
'''
Ed Walsh is the director and JoAnn McGee is the codirector of the Auditory Neurobiology Laboratory at the VA Loma Linda Healthcare System in Loma Linda, California. Their research focuses on the intersection of biomedicine and bioacoustics.